# Entries
+++
# C7H12S

A structure of composition C7H12S in a non-equilibrium geometry (wB97M-V/def2-TZVPD, the Open Molecules 2025 dataset).

E_HOMO = -8.447 eV
LUMO = 0.04 eV
Molecular weight = 128.24 g/mol
E = -18277.5236 eV

Geometry (Å):
C: 0.05035 0.37894 -0.04094
H: -1.09867 1.25806 1.72197
H: -1.11668 1.27121 -1.84519
H: 0.83080 1.63616 3.14125
H: -0.69109 -0.09337 3.26217
H: 0.25406 1.99392 -1.49748
C: 0.18528 -0.43594 -1.36137
H: 1.59982 -0.31156 1.03183
C: -1.10984 0.35202 -1.06206
C: -0.09097 0.82393 2.35110
C: 0.76538 1.61611 -0.52613
H: 0.95790 -0.22787 -2.14744
H: -1.39840 -2.32290 -0.82098
C: -0.05384 -2.05883 -1.26983
H: 0.12607 -2.58041 -2.53428
H: 0.94544 -2.48512 -0.24398
H: -0.14820 -1.13613 1.18510
H: -2.23542 -0.27944 -0.70291
C: 0.42770 -0.06091 1.21673
S: 1.80032 2.66213 0.14245

Forces on atoms 1 to 3 (eV/Å):
C 1.277 3.735 -7.172
H 2.800 -0.063 2.698
H -1.236 -2.143 2.535

=====

# C37H34BF4InN4O5PS

A structure of composition C37H34BF4InN4O5PS (wB97M-V/def2-TZVPD, the Open Molecules 2025 dataset).

Total charge = +1
E_HOMO = -10.497 eV
LUMO = -3.12 eV
Molecular weight = 879.37 g/mol
E = -91964.9067 eV

Geometry (Å):
C: 4.59221 3.80408 -1.00217
C: -2.90275 -1.08641 -1.85107
H: -4.36733 -0.39897 1.26037
C: -6.64932 -2.82954 -0.94913
C: -2.68141 -1.63188 1.82253
C: 4.79460 1.23900 -1.13862
H: 2.58449 -0.00157 -4.03840
C: -1.69685 -1.89874 2.77497
N: -0.20032 2.67660 -0.95783
C: -6.54635 -2.06273 -2.10708
C: 0.37441 4.95222 -1.46191
C: -0.97848 5.28641 -1.53817
N: 2.38726 1.83217 -0.92471
C: 3.16714 4.10300 -1.23895
C: 3.75803 0.26706 2.27696
H: 3.38470 -0.71312 1.95928
H: -0.29317 1.87071 1.91477
S: 2.78989 7.80572 -1.89412
C: 2.14130 3.21700 -1.13216
O: -2.04333 -1.52497 -0.82358
H: -4.20687 1.01532 3.27706
C: -1.47519 3.02244 -1.01606
O: 3.06784 -0.12287 -2.02231
H: -7.59866 -3.27766 -0.68462
H: -2.47006 -4.61015 2.24400
P: -2.73045 -2.49601 0.27899
C: -1.62685 -1.10119 3.90681
O: -2.50614 -0.34922 -2.68522
F: 1.71531 -4.39058 0.36524
C: -5.34324 -1.47281 -2.46553
H: -7.41609 -1.92570 -2.73741
H: -0.34658 -6.04482 -1.99735
H: 0.34245 2.07767 3.56642
H: 1.82987 -1.31360 -3.09407
H: 2.66542 1.68566 0.05301
H: 1.24488 0.36199 -2.92292
H: -0.97840 -2.69239 2.61414
C: -2.01124 -4.09871 0.19520
F: 2.49061 -2.19675 0.53964
H: 6.31155 2.72740 -0.66097
C: -1.41701 -6.17673 1.22199
C: 1.44578 5.90118 -1.62423
B: 1.40375 -3.05530 0.22640
H: 4.63416 0.12273 2.91636
C: -5.54859 -3.02989 -0.12521
H: -1.39551 -6.82926 2.08525
H: -0.86293 -1.29289 4.65019
C: -3.59360 -0.58577 1.99522
C: -0.82239 -6.57195 0.03079
C: -3.50760 0.20192 3.12779
H: 4.40103 -0.58473 -0.06406
H: -1.38997 -3.82062 -1.85526
C: -4.25084 -1.66778 -1.63951
F: 0.31274 -2.68673 1.11635
H: 1.05089 2.99892 2.21724
C: 3.41729 1.21867 -1.77556
C: 4.83852 0.39520 0.14257
H: 3.00381 2.05680 3.13770
C: 2.68680 1.01611 3.01425
H: -2.97789 4.52469 -1.37311
H: -0.33516 -7.53652 -0.03007
H: 5.17810 4.70457 -0.85631
C: -0.83071 -5.73773 -1.07969
H: -5.24571 -0.87587 -3.36336
C: 2.80709 5.48552 -1.49585
C: 0.60798 2.03869 2.50469
N: 3.66411 6.48504 -1.62974
N: 1.30523 7.19471 -1.85208
H: -1.25848 6.30860 -1.76486
H: -5.63167 -3.63341 0.77219
C: -1.91889 4.31104 -1.31668
O: 4.07568 1.06108 1.14213
H: -2.19080 2.22819 -0.81529
H: 5.49375 0.75666 -1.82598
H: -2.46308 0.56333 4.96731
C: -2.52532 -0.05701 4.08015
H: 5.86974 0.25678 0.47969
C: 5.25615 2.64877 -0.90973
C: -2.01422 -4.93235 1.31424
H: 2.51912 0.57627 4.00221
F: 0.95619 -2.74760 -1.09738
In: 0.64846 -0.10450 -0.10672
C: 0.73546 3.62276 -1.19206
C: 2.12990 -0.26940 -3.08227
C: -1.42614 -4.49197 -1.00768
H: 3.44611 1.77843 -2.71454
C: -4.35036 -2.43841 -0.48718
O: 1.49614 0.96568 2.23468

Forces on atoms 1 to 3 (eV/Å):
C -0.086 0.125 -0.049
C -0.010 -0.043 0.084
H 0.011 0.024 -0.007

=====

# C5H10CuO3

A structure of composition C5H10CuO3 in a non-equilibrium geometry (wB97M-V/def2-TZVPD, the Open Molecules 2025 dataset).

E_HOMO (alpha / beta) = -7.930 / -7.273 eV
LUMO (alpha / beta) = 0.48 / 0.49 eV
+++

# Work order
Could you set down only the last part of the listing above, starting with the line that has "1.80032 2.66213"?

# Done
S: 1.80032 2.66213 0.14245

Forces on atoms 1 to 3 (eV/Å):
C 1.277 3.735 -7.172
H 2.800 -0.063 2.698
H -1.236 -2.143 2.535

=====

# C37H34BF4InN4O5PS

A structure of composition C37H34BF4InN4O5PS (wB97M-V/def2-TZVPD, the Open Molecules 2025 dataset).

Total charge = +1
E_HOMO = -10.497 eV
LUMO = -3.12 eV
Molecular weight = 879.37 g/mol
E = -91964.9067 eV

Geometry (Å):
C: 4.59221 3.80408 -1.00217
C: -2.90275 -1.08641 -1.85107
H: -4.36733 -0.39897 1.26037
C: -6.64932 -2.82954 -0.94913
C: -2.68141 -1.63188 1.82253
C: 4.79460 1.23900 -1.13862
H: 2.58449 -0.00157 -4.03840
C: -1.69685 -1.89874 2.77497
N: -0.20032 2.67660 -0.95783
C: -6.54635 -2.06273 -2.10708
C: 0.37441 4.95222 -1.46191
C: -0.97848 5.28641 -1.53817
N: 2.38726 1.83217 -0.92471
C: 3.16714 4.10300 -1.23895
C: 3.75803 0.26706 2.27696
H: 3.38470 -0.71312 1.95928
H: -0.29317 1.87071 1.91477
S: 2.78989 7.80572 -1.89412
C: 2.14130 3.21700 -1.13216
O: -2.04333 -1.52497 -0.82358
H: -4.20687 1.01532 3.27706
C: -1.47519 3.02244 -1.01606
O: 3.06784 -0.12287 -2.02231
H: -7.59866 -3.27766 -0.68462
H: -2.47006 -4.61015 2.24400
P: -2.73045 -2.49601 0.27899
C: -1.62685 -1.10119 3.90681
O: -2.50614 -0.34922 -2.68522
F: 1.71531 -4.39058 0.36524
C: -5.34324 -1.47281 -2.46553
H: -7.41609 -1.92570 -2.73741
H: -0.34658 -6.04482 -1.99735
H: 0.34245 2.07767 3.56642
H: 1.82987 -1.31360 -3.09407
H: 2.66542 1.68566 0.05301
H: 1.24488 0.36199 -2.92292
H: -0.97840 -2.69239 2.61414
C: -2.01124 -4.09871 0.19520
F: 2.49061 -2.19675 0.53964
H: 6.31155 2.72740 -0.66097
C: -1.41701 -6.17673 1.22199
C: 1.44578 5.90118 -1.62423
B: 1.40375 -3.05530 0.22640
H: 4.63416 0.12273 2.91636
C: -5.54859 -3.02989 -0.12521
H: -1.39551 -6.82926 2.08525
H: -0.86293 -1.29289 4.65019
C: -3.59360 -0.58577 1.99522
C: -0.82239 -6.57195 0.03079
C: -3.50760 0.20192 3.12779
H: 4.40103 -0.58473 -0.06406
H: -1.38997 -3.82062 -1.85526
C: -4.25084 -1.66778 -1.63951
F: 0.31274 -2.68673 1.11635
H: 1.05089 2.99892 2.21724
C: 3.41729 1.21867 -1.77556
C: 4.83852 0.39520 0.14257
H: 3.00381 2.05680 3.13770
C: 2.68680 1.01611 3.01425
H: -2.97789 4.52469 -1.37311
H: -0.33516 -7.53652 -0.03007
H: 5.17810 4.70457 -0.85631
C: -0.83071 -5.73773 -1.07969
H: -5.24571 -0.87587 -3.36336
C: 2.80709 5.48552 -1.49585
C: 0.60798 2.03869 2.50469
N: 3.66411 6.48504 -1.62974
N: 1.30523 7.19471 -1.85208
H: -1.25848 6.30860 -1.76486
H: -5.63167 -3.63341 0.77219
C: -1.91889 4.31104 -1.31668
O: 4.07568 1.06108 1.14213
H: -2.19080 2.22819 -0.81529
H: 5.49375 0.75666 -1.82598
H: -2.46308 0.56333 4.96731
C: -2.52532 -0.05701 4.08015
H: 5.86974 0.25678 0.47969
C: 5.25615 2.64877 -0.90973
C: -2.01422 -4.93235 1.31424
H: 2.51912 0.57627 4.00221
F: 0.95619 -2.74760 -1.09738
In: 0.64846 -0.10450 -0.10672
C: 0.73546 3.62276 -1.19206
C: 2.12990 -0.26940 -3.08227
C: -1.42614 -4.49197 -1.00768
H: 3.44611 1.77843 -2.71454
C: -4.35036 -2.43841 -0.48718
O: 1.49614 0.96568 2.23468

Forces on atoms 1 to 3 (eV/Å):
C -0.086 0.125 -0.049
C -0.010 -0.043 0.084
H 0.011 0.024 -0.007

=====

# C5H10CuO3

A structure of composition C5H10CuO3 in a non-equilibrium geometry (wB97M-V/def2-TZVPD, the Open Molecules 2025 dataset).

E_HOMO (alpha / beta) = -7.930 / -7.273 eV
LUMO (alpha / beta) = 0.48 / 0.49 eV